PUSH Week Recap
Hey Team,
At long last the dust from PUSH week has settled and here are the results. Out of the 6 events, I chose 4 to count towards the scoring. All 6 would have been nice but I feel that the ones chosen covered a good spectrum of time domains, loading, and movements.
The scoring wods are:
Event 1: Toes to Bar and Shoulder to Overhead
Event 2: Snatch 3rm
Event 4: Burpee Pullup and max Assault bike calories
Event 6: Run and Hang Power Clean
Well done all, this was a TOUGH week. I tabulated the standings as best I could with several categories having missing scores or misreported scores, so please forgive me if I made mistakes! I included as much as possible people who had three out of the 4 events above.
Men's scaled was all over the map each event, with many different members putting scores in for one or two wods. Three men did some version of scaled for all four wods, and ended up with very close points overall:
Chris Hales 1st place (7 points)
Dustin Bolink 2nd place (8 points)
Don Lacey 3rd place (9 points)
Women's scaled saw a lot of scores through the week, with many people pushing their limits. When all was said and done, three ladies had completed at least 3 wods as written:
Abby Hendy in 1st place
Remee Brown in 2nd place
Victoria Read in 3rd place
The RX category was pretty interesting this round, as the very first wod set the tone for people in terms of deciding what division to enter. The end result was a big cohort in men's and women's RX. Here are the score breakdowns:

Only four gentlemen (and Coach Tia) took on the Comp programming this time around... and not surprising as the level was definitely high across all wods. Here is how it all shook out:

Well done all, and when we do this again (soonish) please try to record your score in the correct category on BTWB... it will make my life a lot easier!
Well done... regardless of the number of wods you did, your placing in them, or what category of scaling you accomplished, you all worked very hard and it was awesome to watch!
Until next time crew!
3 min bike or row
Next to the text, the page also holds data records:
=====
Record 1
Entry from the Materials Project: CdGeO3 after structural relaxation (PBE).

Cell: 5.312 5.364 7.581 Å, 90.00 90.00 90.00°
Positions (direct):
O  0.295  0.710  0.548
O  0.205  0.210  0.548
O  0.795  0.790  0.048
O  0.910  0.529  0.750
O  0.795  0.790  0.452
O  0.295  0.710  0.952
O  0.205  0.210  0.952
O  0.705  0.290  0.048
O  0.090  0.471  0.250
O  0.590  0.029  0.750
O  0.410  0.971  0.250
O  0.705  0.290  0.452
Ge  0.500  0.000  0.000
Ge  0.500  0.000  0.500
Ge  0.000  0.500  0.500
Ge  0.000  0.500  0.000
Cd  0.492  0.464  0.750
Cd  0.508  0.536  0.250
Cd  0.008  0.964  0.750
Cd  0.992  0.036  0.250

Energy relative to the elements ... -1.748 eV per atom
Crystal system ... orthorhombic
Electronic total energy ... -27.07 eV/f.u.
Space-group type ... Pnma



Record 2
Entry from the Materials Project: Na2Mn3Cl8 after structural relaxation (PBE).

Cell: 7.881 7.881 7.881 Å, 56.83 56.83 56.83°
Positions (direct):
Mn  0.500  0.000  0.500
Mn  0.000  0.500  0.500
Mn  0.500  0.500  0.000
Cl  0.103  0.577  0.103
Cl  0.423  0.897  0.897
Cl  0.897  0.423  0.897
Cl  0.577  0.103  0.103
Cl  0.103  0.103  0.577
Cl  0.404  0.404  0.404
Cl  0.897  0.897  0.423
Cl  0.596  0.596  0.596
Na  0.841  0.841  0.841
Na  0.159  0.159  0.159

Energy relative to the elements ... -1.688 eV per atom
Crystal system ... trigonal
Electronic total energy ... -61.95 eV/f.u.
Space-group type ... R-3m

----------

Model A:
The following is a DFT calculation (PBE with a Hubbard U) of a geometry-optimized Mn12O7F17 structure.

Summary:
- Space group: P1 (1)

abc: 4.809 5.775 15.963
angles: 89.46 89.42 84.77
Element x y z (fractional)
F 0.754 0.615 0.482
F 0.731 0.384 0.983
F 0.730 0.385 0.647
F 0.789 0.885 0.639
F 0.231 0.876 0.197
F 0.787 0.884 0.975
F 0.228 0.884 0.852
F 0.242 0.110 0.685
F 0.289 0.382 0.862
F 0.302 0.380 0.522
F 0.727 0.619 0.153
F 0.743 0.607 0.815
F 0.269 0.378 0.191
F 0.231 0.884 0.517
F 0.221 0.108 0.350
F 0.770 0.882 0.306
F 0.242 0.102 0.021
Mn 0.492 0.342 0.751
Mn 0.982 0.168 0.907
Mn 0.486 0.672 0.928
Mn 0.512 0.348 0.412
Mn 0.990 0.174 0.571
Mn 0.996 0.850 0.413
Mn 0.487 0.646 0.261
Mn 0.993 0.844 0.748
Mn 0.491 0.341 0.086
Mn 0.966 0.171 0.245
Mn 0.000 0.846 0.086
Mn 0.488 0.671 0.592
O 0.773 0.110 0.462
O 0.268 0.610 0.702
O 0.271 0.609 0.038
O 0.709 0.391 0.308
O 0.774 0.116 0.135
O 0.269 0.613 0.364
O 0.766 0.109 0.797


Model B:
The following is a DFT calculation (PBE with a Hubbard U) of a geometry-optimized Mn12O7F17 structure.

Summary:
- Space group: P1 (1)

abc: 4.768 5.764 15.889
angles: 89.80 89.47 88.60
Element x y z (fractional)
O 0.701 0.383 0.029
O 0.211 0.097 0.640
O 0.206 0.122 0.969
O 0.230 0.889 0.127
O 0.216 0.899 0.469
O 0.306 0.388 0.810
O 0.727 0.387 0.369
F 0.250 0.876 0.807
F 0.724 0.619 0.193
F 0.764 0.892 0.351
F 0.739 0.614 0.867
F 0.788 0.126 0.186
F 0.741 0.380 0.693
F 0.278 0.619 0.310
F 0.738 0.882 0.024
F 0.267 0.396 0.151
F 0.767 0.860 0.697
F 0.225 0.118 0.306
F 0.754 0.114 0.521
F 0.265 0.603 0.645
=====
The data records stop here:
10 plate floor to overhead
8 plate air squats
6 per side plank shoulder taps
12 alternating v ups
SKILL Every 1 min for 10 mins: Thruster
Warm up well then look to build as you go through each minute. Can take the bar from a rack or from the floor
For time:
3 rounds of:
26 Wallballs
Misplaced calculated crystals:
{"formula": "VCl3", "functional": "PBE", "state": "optimized geometry", "rho_g_cm3": 2.48, "final_energy_ev_per_atom": -4.896, "energy_corrected_mp2020_ev_per_atom": -5.36, "ef_ev_per_atom": -1.699, "sg": "R-3 (148)", "lattice": [[-1.890, -4.283, -3.899], [1.537, 0.346, -5.885], [5.293, -4.799, -2.054]], "species": ["V", "V", "Cl", "Cl", "Cl", "Cl", "Cl", "Cl"], "frac_coords": [[0.333, 0.333, 0.000], [0.667, 0.667, 0.000], [0.069, 0.711, 0.792], [0.428, 0.069, 0.792], [0.289, 0.572, 0.208], [0.572, 0.931, 0.208], [0.931, 0.289, 0.208], [0.711, 0.428, 0.792]]}

~~~~~

# 1
# RbAlF4

RbAlF4 after structural relaxation (r²SCAN, the Materials Project database).

- spin magnetization (μB per cell) = 0.000
- formation enthalpy at 0 K (meV per atom) = -3638

abc: 3.647 3.647 6.273
angles: 90.00 90.00 90.00
Space group P4/mmm (No. 123)
Symmetry-distinct sites (fractional):
Rb  0.000  0.000  0.000 (multiplicity 1)
Al  0.500  0.500  0.500 (multiplicity 1)
F  0.000  0.500  0.500 (multiplicity 2)
F  0.500  0.500  0.218 (multiplicity 2)

---

# 2
# AlTl2F5

AlTl2F5 after structural relaxation (r²SCAN, the Materials Project database).

- spin magnetization (μB per cell) = 0.000
- formation enthalpy at 0 K (meV per atom) = -2910

abc: 8.804 8.830 7.428
angles: 90.00 90.00 90.00
Space group Cmcm (No. 63)
Symmetry-distinct sites (fractional):
Al  0.000  0.000  0.000 (multiplicity 4)
Tl  0.247  0.259  0.250 (multiplicity 8)
F  0.000  0.016  0.250 (multiplicity 4)
F  0.000  0.203  0.519 (multiplicity 8)
F  0.204  0.000  0.000 (multiplicity 8)

---

# 3
# AlTl2F5

AlTl2F5 after structural relaxation (r²SCAN, the Materials Project database).

- spin magnetization (μB per cell) = 0.000
- formation enthalpy at 0 K (meV per atom) = -2910

abc: 8.738 8.849 7.428
angles: 90.00 90.00 90.00
Space group Cmcm (No. 63)
Symmetry-distinct sites (fractional):
Al  0.000  0.000  0.000 (multiplicity 4)
Tl  0.244  0.261  0.250 (multiplicity 8)
F  0.000  0.014  0.250 (multiplicity 4)
F  0.000  0.202  0.516 (multiplicity 8)
F  0.205  0.000  0.000 (multiplicity 8)

---

# 4
# AlTl2F5

AlTl2F5 after structural relaxation (r²SCAN, the Materials Project database).

- spin magnetization (μB per cell) = 0.000
- formation enthalpy at 0 K (meV per atom) = -2910

abc: 8.812 8.816 7.420
angles: 90.00 90.00 90.00
Space group Cmcm (No. 63)
Symmetry-distinct sites (fractional):
Al  0.000  0.000  0.000 (multiplicity 4)
Tl  0.250  0.248  0.250 (multiplicity 8)
F  0.000  0.004  0.750 (multiplicity 4)
F  0.000  0.204  0.005 (multiplicity 8)
F  0.204  0.000  0.000 (multiplicity 8)

---

spin magnetization of number 3 (AlTl2F5)? 0.000 μB per cell

---

What is the spin magnetization in the fourth record? 0.000 μB per cell

~~~~~

# TlV5Se8, optimized geometry, DFT PBE
# DFT formation energy   -13.3 eV per formula unit
# Energy with MP2020 corrections   -6.36 eV/atom
data_TlV5Se8
_chemical_formula_sum 'Tl2 V10 Se16'
_space_group_name_H-M_alt 'C 1 2/m 1'
_space_group_IT_number 12
_cell_length_a 18.3086
26 Alternating Dumbbell Snatches, 50/35 lbs
-- then --
26 Assault Bike Calories
Not the longest, but one of the toughest. Yep, it's assault bike again this week :)
Sprint the finish if you dare
FG2: scale wallball and db weight
FG1: scale as needed
CP: heavy wallball
CP2: heavy wallball and heavy db (45/70)